**Job:**
Please write out the whole of the calculation results further down with every line break kept.
**Source:**
-- begin --
[1]
Below is a structure of composition C29H25ClMoN4O2 at a distorted geometry, with properties calculated with ωB97M-V with the def2-TZVPD basis set.

Structure (XYZ):
```
62
C29H25ClMoN4O2, DFT ωB97M-V with the def2-TZVPD basis set
Mo -0.0841 0.8107 0.3120
C -4.3044 1.4824 -0.5785
O -3.5462 2.7513 -0.9243
C -2.2655 2.4570 -0.6673
N -1.9846 1.2253 -0.3115
C -3.2328 0.4281 -0.2347
C -3.2257 -0.7352 -1.1668
C -4.3109 -1.6177 -1.0731
C -4.4323 -2.6898 -1.9667
C -3.4855 -2.8512 -2.9868
C -2.3918 -1.9727 -3.0679
C -2.2702 -0.8997 -2.1856
C -1.1768 3.3819 -0.8050
C -1.2023 4.7072 -1.2012
C 0.0165 5.3966 -1.2252
C 1.2283 4.7556 -0.8956
C 1.1582 3.4170 -0.5394
N -0.0246 2.7934 -0.4570
C 2.2356 2.4847 -0.3055
N 1.9869 1.2082 -0.0992
C 3.3043 0.5050 -0.0568
C 4.3204 1.6567 0.0266
O 3.5371 2.9098 -0.2971
C 3.4425 -0.4641 1.0636
C 2.4640 -0.6026 2.0513
C 2.6294 -1.5271 3.0910
C 3.8148 -2.2631 3.1753
C 4.8103 -2.0907 2.2083
C 4.6227 -1.2151 1.1458
H -4.9179 1.2247 -1.4609
H -4.9642 1.6966 0.2837
H -3.3807 0.0619 0.8158
H -5.0460 -1.4712 -0.2670
H -5.2704 -3.3827 -1.8811
H -3.5622 -3.6985 -3.6872
H -1.6085 -2.1467 -3.8261
H -1.4078 -0.2379 -2.2801
H -2.1531 5.1624 -1.5034
H 0.0322 6.4553 -1.4777
H 2.2023 5.2474 -0.9497
H 3.4966 -0.0243 -1.0306
H 5.1244 1.5582 -0.7155
H 4.7636 1.7859 1.0378
H 1.5715 0.0032 2.0101
H 1.8088 -1.6835 3.7947
H 3.9818 -2.9702 3.9971
H 5.7413 -2.6716 2.2612
H 5.3953 -1.1007 0.3808
C -0.5934 1.3509 2.0351
H -0.0092 1.1415 2.9683
H -1.4873 1.9775 2.2946
Cl 1.5509 -4.1723 -1.5921
C 0.5755 -3.3534 -0.4343
C -0.1592 -4.0688 0.5333
C -0.8992 -3.3056 1.4795
C -0.8915 -1.9255 1.4569
N -0.1641 -1.2492 0.4738
C 0.5523 -1.9543 -0.4678
H -0.1332 -5.1638 0.4899
H -1.4813 -3.7667 2.2777
H -1.4032 -1.3258 2.2027
H 1.1025 -1.4347 -1.2482
```

## Properties
charge: +2
spin multiplicity: 3
energy: -2017.4381 a.u.
HOMO (alpha / beta): -13.63 / -14.35 eV
orbital gap (alpha / beta): 0.23784 / 0.25832 Ha
expectation value of S²: 2.09

Löwdin atomic charge list, values in e, 2 entries: 1.4452 0.0164

---

[2]
Below is a structure of composition C29H25FFeN5O3Se at a distorted geometry, with properties calculated with ωB97M-V with the def2-TZVPD basis set.

Structure (XYZ):
```
65
C29H25FFeN5O3Se, DFT ωB97M-V with the def2-TZVPD basis set
Fe -0.9606 1.7214 1.5950
C 1.2923 -2.8515 -3.8588
C 0.7153 -3.7027 -2.7265
C -0.3292 -4.6402 -3.3235
C -1.1338 -5.3514 -2.2460
C -1.8168 -4.3146 -1.4105
C -3.0605 -4.5324 -0.8617
C -3.6582 -3.5462 -0.0785
F -4.8713 -3.7729 0.4451
C -3.0290 -2.3549 0.1813
C -1.7515 -2.1262 -0.3466
C -1.0589 -0.8941 0.0101
O -1.6546 -0.0286 0.7049
C 0.2859 -0.7960 -0.4599
C 0.7883 -1.7777 -1.2738
N 0.1082 -2.8495 -1.6939
C -1.1475 -3.0957 -1.1740
C 1.2347 0.3605 -0.1238
O 2.3775 0.3035 -0.5390
O 0.7446 1.3240 0.5573
H 1.5404 -3.5045 -4.6898
H 2.1952 -2.3174 -3.5789
H 0.5481 -2.1342 -4.1966
H 1.5166 -4.2830 -2.2504
H 0.1747 -5.3633 -3.9601
H -1.0109 -4.0554 -3.9455
H -0.4789 -5.9552 -1.6118
H -1.8651 -6.0207 -2.6999
H -3.5817 -5.4644 -1.0193
H -3.4865 -1.5978 0.7997
H 1.8143 -1.6621 -1.5986
C -1.3245 2.4600 -2.2591
N -0.4522 3.3919 -1.6026
C -0.6167 3.9223 -0.3774
Se -2.0531 3.6825 0.7624
N 0.4416 4.7115 -0.1032
C 1.3308 4.6685 -1.1510
C 2.5650 5.2644 -1.3521
C 3.2059 4.9876 -2.5445
C 2.6255 4.1682 -3.5130
C 1.3887 3.5781 -3.3237
C 0.7533 3.8280 -2.1164
H -2.1424 2.1998 -1.5870
H -0.7605 1.5604 -2.5156
H -1.7307 2.9106 -3.1668
H 0.5635 5.2138 0.7626
H 3.0034 5.9129 -0.6127
H 4.1782 5.4141 -2.7355
H 3.1566 3.9954 -4.4339
H 0.9414 2.9587 -4.0853
N -1.2378 1.8253 6.0293
C -1.5848 2.2023 4.7831
N -0.8170 1.6851 3.8554
C 0.1077 0.9129 4.5298
C 1.1710 0.1575 4.0466
C 1.9386 -0.5175 4.9712
C 1.6634 -0.4496 6.3426
C 0.6220 0.3043 6.8394
C -0.1531 0.9901 5.9131
H -1.6849 2.1070 6.8868
H -2.4064 2.8617 4.5796
H 1.3806 0.1237 2.9861
H 2.7768 -1.1106 4.6433
H 2.2891 -1.0000 7.0270
H 0.4181 0.3635 7.8966
```

## Properties
charge: +1
spin multiplicity: 5
energy: -5384.5933 a.u.
HOMO (alpha / beta): -10.84 / -10.83 eV
-- stop --
**Response:**
[1]
Below is a structure of composition C29H25ClMoN4O2 at a distorted geometry, with properties calculated with ωB97M-V with the def2-TZVPD basis set.

Structure (XYZ):
```
62
C29H25ClMoN4O2, DFT ωB97M-V with the def2-TZVPD basis set
Mo -0.0841 0.8107 0.3120
C -4.3044 1.4824 -0.5785
O -3.5462 2.7513 -0.9243
C -2.2655 2.4570 -0.6673
N -1.9846 1.2253 -0.3115
C -3.2328 0.4281 -0.2347
C -3.2257 -0.7352 -1.1668
C -4.3109 -1.6177 -1.0731
C -4.4323 -2.6898 -1.9667
C -3.4855 -2.8512 -2.9868
C -2.3918 -1.9727 -3.0679
C -2.2702 -0.8997 -2.1856
C -1.1768 3.3819 -0.8050
C -1.2023 4.7072 -1.2012
C 0.0165 5.3966 -1.2252
C 1.2283 4.7556 -0.8956
C 1.1582 3.4170 -0.5394
N -0.0246 2.7934 -0.4570
C 2.2356 2.4847 -0.3055
N 1.9869 1.2082 -0.0992
C 3.3043 0.5050 -0.0568
C 4.3204 1.6567 0.0266
O 3.5371 2.9098 -0.2971
C 3.4425 -0.4641 1.0636
C 2.4640 -0.6026 2.0513
C 2.6294 -1.5271 3.0910
C 3.8148 -2.2631 3.1753
C 4.8103 -2.0907 2.2083
C 4.6227 -1.2151 1.1458
H -4.9179 1.2247 -1.4609
H -4.9642 1.6966 0.2837
H -3.3807 0.0619 0.8158
H -5.0460 -1.4712 -0.2670
H -5.2704 -3.3827 -1.8811
H -3.5622 -3.6985 -3.6872
H -1.6085 -2.1467 -3.8261
H -1.4078 -0.2379 -2.2801
H -2.1531 5.1624 -1.5034
H 0.0322 6.4553 -1.4777
H 2.2023 5.2474 -0.9497
H 3.4966 -0.0243 -1.0306
H 5.1244 1.5582 -0.7155
H 4.7636 1.7859 1.0378
H 1.5715 0.0032 2.0101
H 1.8088 -1.6835 3.7947
H 3.9818 -2.9702 3.9971
H 5.7413 -2.6716 2.2612
H 5.3953 -1.1007 0.3808
C -0.5934 1.3509 2.0351
H -0.0092 1.1415 2.9683
H -1.4873 1.9775 2.2946
Cl 1.5509 -4.1723 -1.5921
C 0.5755 -3.3534 -0.4343
C -0.1592 -4.0688 0.5333
C -0.8992 -3.3056 1.4795
C -0.8915 -1.9255 1.4569
N -0.1641 -1.2492 0.4738
C 0.5523 -1.9543 -0.4678
H -0.1332 -5.1638 0.4899
H -1.4813 -3.7667 2.2777
H -1.4032 -1.3258 2.2027
H 1.1025 -1.4347 -1.2482
```

## Properties
charge: +2
spin multiplicity: 3
energy: -2017.4381 a.u.
HOMO (alpha / beta): -13.63 / -14.35 eV
orbital gap (alpha / beta): 0.23784 / 0.25832 Ha
expectation value of S²: 2.09

Löwdin atomic charge list, values in e, 2 entries: 1.4452 0.0164

---

[2]
Below is a structure of composition C29H25FFeN5O3Se at a distorted geometry, with properties calculated with ωB97M-V with the def2-TZVPD basis set.

Structure (XYZ):
```
65
C29H25FFeN5O3Se, DFT ωB97M-V with the def2-TZVPD basis set
Fe -0.9606 1.7214 1.5950
C 1.2923 -2.8515 -3.8588
C 0.7153 -3.7027 -2.7265
C -0.3292 -4.6402 -3.3235
C -1.1338 -5.3514 -2.2460
C -1.8168 -4.3146 -1.4105
C -3.0605 -4.5324 -0.8617
C -3.6582 -3.5462 -0.0785
F -4.8713 -3.7729 0.4451
C -3.0290 -2.3549 0.1813
C -1.7515 -2.1262 -0.3466
C -1.0589 -0.8941 0.0101
O -1.6546 -0.0286 0.7049
C 0.2859 -0.7960 -0.4599
C 0.7883 -1.7777 -1.2738
N 0.1082 -2.8495 -1.6939
C -1.1475 -3.0957 -1.1740
C 1.2347 0.3605 -0.1238
O 2.3775 0.3035 -0.5390
O 0.7446 1.3240 0.5573
H 1.5404 -3.5045 -4.6898
H 2.1952 -2.3174 -3.5789
H 0.5481 -2.1342 -4.1966
H 1.5166 -4.2830 -2.2504
H 0.1747 -5.3633 -3.9601
H -1.0109 -4.0554 -3.9455
H -0.4789 -5.9552 -1.6118
H -1.8651 -6.0207 -2.6999
H -3.5817 -5.4644 -1.0193
H -3.4865 -1.5978 0.7997
H 1.8143 -1.6621 -1.5986
C -1.3245 2.4600 -2.2591
N -0.4522 3.3919 -1.6026
C -0.6167 3.9223 -0.3774
Se -2.0531 3.6825 0.7624
N 0.4416 4.7115 -0.1032
C 1.3308 4.6685 -1.1510
C 2.5650 5.2644 -1.3521
C 3.2059 4.9876 -2.5445
C 2.6255 4.1682 -3.5130
C 1.3887 3.5781 -3.3237
C 0.7533 3.8280 -2.1164
H -2.1424 2.1998 -1.5870
H -0.7605 1.5604 -2.5156
H -1.7307 2.9106 -3.1668
H 0.5635 5.2138 0.7626
H 3.0034 5.9129 -0.6127
H 4.1782 5.4141 -2.7355
H 3.1566 3.9954 -4.4339
H 0.9414 2.9587 -4.0853
N -1.2378 1.8253 6.0293
C -1.5848 2.2023 4.7831
N -0.8170 1.6851 3.8554
C 0.1077 0.9129 4.5298
C 1.1710 0.1575 4.0466
C 1.9386 -0.5175 4.9712
C 1.6634 -0.4496 6.3426
C 0.6220 0.3043 6.8394
C -0.1531 0.9901 5.9131
H -1.6849 2.1070 6.8868
H -2.4064 2.8617 4.5796
H 1.3806 0.1237 2.9861
H 2.7768 -1.1106 4.6433
H 2.2891 -1.0000 7.0270
H 0.4181 0.3635 7.8966
```

## Properties
charge: +1
spin multiplicity: 5
energy: -5384.5933 a.u.
HOMO (alpha / beta): -10.84 / -10.83 eV